[Assignment]
Please restate only the last part of the data underneath, starting with the line that has "18.29".
[Input]
____________
# 1
Theoretical X-ray powder pattern of Ba2TiFeO6 for Cu Ka, from DFT lattice parameters and positions (PBE+U).

Main lines, in order of rising 2θ (10 to 80 degrees two-theta):
2θ/deg	I/Imax
21.77	14
25.95	39
30.92	64
31.04	100
38.23	16
40.89	29
44.38	40
55.18	44
64.71	20
73.43	11

Structural model:
a b c (Å): 5.7623 5.7623 14.1978
angles (deg): 90.00 90.00 120.00
Fractional coordinates of all 30 atoms:
Ba  0.0000  0.0000  0.0000
Ba  0.0000  0.0000  0.3149
Ba  0.3333  0.6667  0.1556
Ba  0.3333  0.6667  0.6606
Ba  0.6667  0.3333  0.4994
Ba  0.6667  0.3333  0.8170
Ti  0.0000  0.0000  0.5585
Ti  0.3333  0.6667  0.4029
Ti  0.3333  0.6667  0.9086
Fe  0.0000  0.0000  0.7536
Fe  0.6667  0.3333  0.0640
Fe  0.6667  0.3333  0.2551
O  0.0056  0.5028  0.9890
O  0.0080  0.5040  0.3314
O  0.1659  0.3318  0.4918
O  0.1659  0.8341  0.4918
O  0.1679  0.3358  0.8288
O  0.1679  0.8321  0.8288
O  0.2976  0.1488  0.6614
O  0.3647  0.1824  0.1566
O  0.4960  0.5040  0.3314
O  0.4960  0.9920  0.3314
O  0.4972  0.5028  0.9890
O  0.4972  0.9944  0.9890
O  0.6642  0.8321  0.8288
O  0.6682  0.8341  0.4918
O  0.8176  0.1824  0.1566
O  0.8176  0.6353  0.1566
O  0.8512  0.1488  0.6614
O  0.8512  0.7024  0.6614

---

# 2
Theoretical X-ray powder pattern of Li9Mn7O16 for Cu Ka, from DFT lattice parameters and positions (PBE+U).

Main lines, in order of rising 2θ (10 to 80 degrees two-theta):
2θ/deg	I/Imax
18.29	100
33.85	20
36.08	12
36.22	13
40.73	35
44.07	28
44.22	28
46.83	10
61.45	9
61.91	16

Structural model:
a b c (Å): 6.0753 6.5046 7.8146
angles (deg): 89.73 83.19 76.75
Fractional coordinates of all 32 atoms:
Li  0.0000  0.0000  0.0000
Li  0.1227  0.3686  0.1215
Li  0.1249  0.8766  0.6288
Li  0.3689  0.6313  0.8746
Li  0.3792  0.1232  0.3713
Li  0.6208  0.8768  0.6287
Li  0.6311  0.3687  0.1254
Li  0.8751  0.1234  0.3712
Li  0.8773  0.6314  0.8785
Mn  0.0000  0.5000  0.5000
Mn  0.2383  0.2495  0.7565
Mn  0.2539  0.7506  0.2439
Mn  0.5000  0.0000  0.0000
Mn  0.5000  0.5000  0.5000
Mn  0.7461  0.2494  0.7561
Mn  0.7617  0.7505  0.2435
O  0.0611  0.6930  0.0813
O  0.0720  0.1987  0.5637
O  0.1743  0.5490  0.6863
O  0.2260  0.0405  0.1705
O  0.3198  0.9554  0.8167
O  0.3255  0.4525  0.3165
O  0.4212  0.2960  0.9396
O  0.4456  0.7942  0.4247
O  0.5544  0.2058  0.5753
O  0.5788  0.7040  0.0604
O  0.6745  0.5475  0.6835
O  0.6802  0.0446  0.1833
O  0.7740  0.9595  0.8295
O  0.8257  0.4510  0.3137
O  0.9280  0.8013  0.4363
O  0.9389  0.3070  0.9187

---

Question: What is the formula in the first record?
Answer: Ba2TiFeO6

---

Question: Number 2 is which compound?
Answer: Li9Mn7O16

* * * * *

[1]
Theoretical powder XRD pattern
Compound: Cd2AgPt
Radiation: Cu Kα (λ = 1.5418 Å)
Structure: a PBE-relaxed structure
No peak broadening, texture or thermal motion is included.

Cell and atoms:
a b c (Å): 4.7188 4.7188 4.7188
angles (deg): 60.00 60.00 60.00
Positions (direct):
Cd  0.2500  0.2500  0.2500
Cd  0.7500  0.7500  0.7500
Ag  0.0000  0.0000  0.0000
Pt  0.5000  0.5000  0.5000

Most intense lines, 15 to 90 degrees two-theta, by intensity:
- 38.1°, intensity 100.0
- 68.9°, intensity 33.7
- 55.0°, intensity 16.8
- 81.6°, intensity 10.7
- 23.1°, intensity 5.0
- 45.1°, intensity 2.9

---

[2]
Theoretical powder XRD pattern
Compound: SiC
Radiation: Cu Kα (λ = 1.5418 Å)
Structure: a PBE-relaxed structure
No peak broadening, texture or thermal motion is included.

Cell and atoms:
a b c (Å): 73.2535 73.2535 73.2535
angles (deg): 2.42 2.42 2.42
Positions (direct):
Si  0.0000  0.0000  0.0000
Si  0.0230  0.0230  0.0230
Si  0.0460  0.0460  0.0460
Si  0.0920  0.0920  0.0920
Si  0.1150  0.1150  0.1150
Si  0.1609  0.1609  0.1609
Si  0.1839  0.1839  0.1839
Si  0.2299  0.2299  0.2299
Si  0.2529  0.2529  0.2529
Si  0.2988  0.2988  0.2988
Si  0.3219  0.3219  0.3219
Si  0.3678  0.3678  0.3678
Si  0.4023  0.4023  0.4023
Si  0.4368  0.4368  0.4368
Si  0.4713  0.4713  0.4713
Si  0.5058  0.5058  0.5058
Si  0.5402  0.5402  0.5402
Si  0.5747  0.5747  0.5747
Si  0.6092  0.6092  0.6092
____________
[Done]
18.29	100
33.85	20
36.08	12
36.22	13
40.73	35
44.07	28
44.22	28
46.83	10
61.45	9
61.91	16

Structural model:
a b c (Å): 6.0753 6.5046 7.8146
angles (deg): 89.73 83.19 76.75
Fractional coordinates of all 32 atoms:
Li  0.0000  0.0000  0.0000
Li  0.1227  0.3686  0.1215
Li  0.1249  0.8766  0.6288
Li  0.3689  0.6313  0.8746
Li  0.3792  0.1232  0.3713
Li  0.6208  0.8768  0.6287
Li  0.6311  0.3687  0.1254
Li  0.8751  0.1234  0.3712
Li  0.8773  0.6314  0.8785
Mn  0.0000  0.5000  0.5000
Mn  0.2383  0.2495  0.7565
Mn  0.2539  0.7506  0.2439
Mn  0.5000  0.0000  0.0000
Mn  0.5000  0.5000  0.5000
Mn  0.7461  0.2494  0.7561
Mn  0.7617  0.7505  0.2435
O  0.0611  0.6930  0.0813
O  0.0720  0.1987  0.5637
O  0.1743  0.5490  0.6863
O  0.2260  0.0405  0.1705
O  0.3198  0.9554  0.8167
O  0.3255  0.4525  0.3165
O  0.4212  0.2960  0.9396
O  0.4456  0.7942  0.4247
O  0.5544  0.2058  0.5753
O  0.5788  0.7040  0.0604
O  0.6745  0.5475  0.6835
O  0.6802  0.0446  0.1833
O  0.7740  0.9595  0.8295
O  0.8257  0.4510  0.3137
O  0.9280  0.8013  0.4363
O  0.9389  0.3070  0.9187

---

Question: What is the formula in the first record?
Answer: Ba2TiFeO6

---

Question: Number 2 is which compound?
Answer: Li9Mn7O16

* * * * *

[1]
Theoretical powder XRD pattern
Compound: Cd2AgPt
Radiation: Cu Kα (λ = 1.5418 Å)
Structure: a PBE-relaxed structure
No peak broadening, texture or thermal motion is included.

Cell and atoms:
a b c (Å): 4.7188 4.7188 4.7188
angles (deg): 60.00 60.00 60.00
Positions (direct):
Cd  0.2500  0.2500  0.2500
Cd  0.7500  0.7500  0.7500
Ag  0.0000  0.0000  0.0000
Pt  0.5000  0.5000  0.5000

Most intense lines, 15 to 90 degrees two-theta, by intensity:
- 38.1°, intensity 100.0
- 68.9°, intensity 33.7
- 55.0°, intensity 16.8
- 81.6°, intensity 10.7
- 23.1°, intensity 5.0
- 45.1°, intensity 2.9

---

[2]
Theoretical powder XRD pattern
Compound: SiC
Radiation: Cu Kα (λ = 1.5418 Å)
Structure: a PBE-relaxed structure
No peak broadening, texture or thermal motion is included.

Cell and atoms:
a b c (Å): 73.2535 73.2535 73.2535
angles (deg): 2.42 2.42 2.42
Positions (direct):
Si  0.0000  0.0000  0.0000
Si  0.0230  0.0230  0.0230
Si  0.0460  0.0460  0.0460
Si  0.0920  0.0920  0.0920
Si  0.1150  0.1150  0.1150
Si  0.1609  0.1609  0.1609
Si  0.1839  0.1839  0.1839
Si  0.2299  0.2299  0.2299
Si  0.2529  0.2529  0.2529
Si  0.2988  0.2988  0.2988
Si  0.3219  0.3219  0.3219
Si  0.3678  0.3678  0.3678
Si  0.4023  0.4023  0.4023
Si  0.4368  0.4368  0.4368
Si  0.4713  0.4713  0.4713
Si  0.5058  0.5058  0.5058
Si  0.5402  0.5402  0.5402
Si  0.5747  0.5747  0.5747
Si  0.6092  0.6092  0.6092